AP LATIN: Caesar Book Four Essay

First Quarter Essay on Caesar’s First Invasion of Britain: Crisis and Leadership  


Essay on De Bello Gallico, Book IV, Chapters 24 to 36.


Britain, the final frontier.  These are the voyages of Caesar and the Roman army. Their mission: to explore strange new worlds, to seek out new life and new civilizations, to boldly go where no (Ro)man has gone before.


Remember that epic journeys are a traditional theme of Greco-Roman history.   Xenophon’s Anabasis or Alexander’s trek through the Persian Empire with his army to banks of the Indus river are famous examples.  In book IV of De Bello Gallico Caesar crosses both the Rhine and Oceanus. 


Caesar’s first expedition to Britain (55 BC) confronts him and his army with a number of crises that threaten disaster and require heroic leadership to solve.  What crises does Caesar face and how does he present these crisis?   This episode in which Caesar leads the Roman army in terram incognitam may be read as a series of challenges that test and prove Caesar’s heroic leadership and unique ability as imperator or dux.  Analyze Caesar’s Latin to show how he manipulates the language to create an atmosphere of intermittent crisis that heightens the drama of his narrative and gives Caesar multiple opportunities to show his leadership.   What is the nature of these crises which Caesar and his army face and how does he use or manipulate the Latin language in their presentation?   Read and analyze the Latin text very closely and carefully with awareness of figures of speech/rhetorical devices, diction, phonetics and word order.   Remember figures of speech are not important in themselves but are employed by the author to give greater nuance to the content.    You must both recognize them and show what meaning, emphasis or nuance that they bring to the content of the text.   Stylistic analysis of Caesar’s Latin should be fundamental part of this paper. 

=====
Entry 1:
Computed, not measured: a geometry-optimized CsUPd structure at the PBE level of DFT.

Cell lengths 7.3418, 7.3418, 7.3418 Å; angles 90.00, 90.00, 90.00 degrees
Space group F-43m (No. 216)
Inequivalent atoms, fractional coordinates:
Cs (0.0000, 0.0000, 0.0000) [4 per cell]
U (0.0000, 0.0000, 0.5000) [4 per cell]
Pd (0.2500, 0.2500, 0.2500) [4 per cell]

Raw total energy = -0.1729 Ha/atom
Size of the total moment = 1.11 μB/atom



Entry 2:
Computed, not measured: a geometry-optimized Ta2NbB4 structure at the PBE level of DFT.

Cell lengths 3.1447, 3.3134, 14.0818 Å; angles 90.00, 90.00, 90.00 degrees
Space group Immm (No. 71)
Inequivalent atoms, fractional coordinates:
Ta (0.0000, 0.0000, 0.1854) [4 per cell]
Nb (0.0000, 0.5000, 0.5000) [2 per cell]
B (0.0000, 0.0000, 0.3664) [4 per cell]
B (0.0000, 0.5000, 0.0644) [4 per cell]

Raw total energy = -0.3463 Ha/atom
Size of the total moment = 0.00 μB/atom



Entry 3:
Computed, not measured: a geometry-optimized MgCuHgPb structure at the PBE level of DFT.

Cell lengths 6.9651, 6.9651, 6.9651 Å; angles 90.00, 90.00, 90.00 degrees
Space group F-43m (No. 216)
Inequivalent atoms, fractional coordinates:
Mg (0.0000, 0.0000, 0.0000) [4 per cell]
Cu (0.0000, 0.0000, 0.5000) [4 per cell]
Hg (0.2500, 0.2500, 0.7500) [4 per cell]
Pb (0.2500, 0.2500, 0.2500) [4 per cell]

Raw total energy = -0.0809 Ha/atom



Entry 4:
Computed, not measured: a geometry-optimized ScCuNiSb structure at the PBE level of DFT.

Cell lengths 6.4019, 6.4019, 6.4019 Å; angles 90.00, 90.00, 90.00 degrees
Space group F-43m (No. 216)
Inequivalent atoms, fractional coordinates:
Sc (0.0000, 0.0000, 0.0000) [4 per cell]
Cu (0.2500, 0.2500, 0.7500) [4 per cell]
Ni (0.0000, 0.0000, 0.5000) [4 per cell]
Sb (0.2500, 0.2500, 0.2500) [4 per cell]

Raw total energy = -0.1907 Ha/atom
Size of the total moment = 0.00 μB/atom



Entry 5:
Computed, not measured: a geometry-optimized LuCuHgPb structure at the PBE level of DFT.

Cell lengths 7.0851, 7.0851, 7.0851 Å; angles 90.00, 90.00, 90.00 degrees
Space group F-43m (No. 216)
Inequivalent atoms, fractional coordinates:
Lu (0.0000, 0.0000, 0.0000) [4 per cell]
Cu (0.0000, 0.0000, 0.5000) [4 per cell]
Hg (0.2500, 0.2500, 0.7500) [4 per cell]
Pb (0.2500, 0.2500, 0.2500) [4 per cell]

Raw total energy = -0.1158 Ha/atom
Size of the total moment = 0.00 μB/atom



Entry 6:
Computed, not measured: a geometry-optimized PaBeNi structure at the PBE level of DFT.

Cell lengths 6.1825, 6.1825, 6.1825 Å; angles 90.00, 90.00, 90.00 degrees
Space group F-43m (No. 216)
Inequivalent atoms, fractional coordinates:
Pa (0.0000, 0.0000, 0.0000) [4 per cell]
Be (0.2500, 0.2500, 0.7500) [4 per cell]
Ni (0.2500, 0.2500, 0.2500) [4 per cell]

Raw total energy = -0.2009 Ha/atom
Size of the total moment = 0.00 μB/atom


A geometry-optimized CuAgF3 structure. Source: Alexandria, functional GGA-PBE.

Results
**Size of the total moment**: 0.00 μB/f.u.
**Crystal system**: monoclinic
**Mass density**: 5.5 g cm⁻³
=====
End of the records of crystals:


I am especially looking for: 

  1. Concise and carefully crafted introduction and conclusion 
  2. Clear and coherent organization of ideas
  3. Precise analysis of Latin words, phrases and use of figures of speech
  4. Appropriate citation of  Latin 
  5. A very detailed reading and comprehension of Caesar’s Latin


I invite you to discuss your ideas, analysis, and organization with me prior to writing.


Value 200 Points. 

Due date: October 14, 2013. 

Late papers will not be accepted.

Submit hard copies only with a staple. 

7.5-8.5 pages. 


Mikey Morris, avoid long quotations. Work with individual words and phrases.